Could you transcribe everything further down verbatim?
____________
A relaxed CsMg6CO8 crystal. Source: Materials Project, functional GGA-PBE.

Unit cell a=4.575 b=4.575 c=8.839 alpha=90.00 beta=90.00 gamma=90.00
Sites, in units of the cell vectors:
Cs 0.000 0.000 0.000
Mg 0.500 0.500 0.000
Mg 0.500 0.500 0.500
Mg 0.000 0.500 0.272
Mg 0.000 0.500 0.728
Mg 0.500 0.000 0.272
Mg 0.500 0.000 0.728
C 0.000 0.000 0.500
O 0.000 0.000 0.293
O 0.000 0.000 0.707
O 0.500 0.500 0.253
O 0.500 0.500 0.747
O 0.000 0.500 0.000
O 0.000 0.500 0.500
O 0.500 0.000 0.000
O 0.500 0.000 0.500

E (eV/atom): -5.1078
Symmetry: P4/mmm (123)
Offset from the most stable computed form (eV/atom): 0.022
Energy of formation (eV per atom): -1.74

~~~~~

# 1
HfO2: relaxed, PBE.

Output
The formation energy from the elements is -1098 kJ/mol of formula units. The energy with MP2020 corrections comes out at -1061.9 eV/cell. The magnetic moment comes out at 0.00 μB per cell.

The structure in CIF format:
```
data_HfO2
_space_group_name_H-M_alt 'P 1'
_space_group_IT_number 1
_cell_length_a 10.850
_cell_length_b 10.914
_cell_length_c 11.237
_cell_angle_alpha 90.52
_cell_angle_beta 92.40
_cell_angle_gamma 90.59
loop_
_space_group_symop_operation_xyz
'x,y,z'
loop_
_atom_site_label
_atom_site_fract_x
_atom_site_fract_y
_atom_site_fract_z
_atom_site_occupancy
Hf1 0.000 0.000 0.000 1
Hf2 0.000 0.243 0.150 1
Hf3 0.123 0.214 0.480 1
Hf4 0.132 0.730 0.587 1
Hf5 0.154 0.487 0.273 1
Hf6 0.190 0.681 0.058 1
Hf7 0.191 0.505 0.820 1
Hf8 0.220 0.941 0.213 1
Hf9 0.260 0.855 0.838 1
Hf10 0.265 0.218 0.045 1
Hf11 0.303 0.451 0.551 1
Hf12 0.330 0.968 0.559 1
Hf13 0.356 0.258 0.768 1
Hf14 0.391 0.732 0.356 1
Hf15 0.399 0.253 0.339 1
Hf16 0.466 0.487 0.142 1
Hf17 0.492 0.970 0.099 1
Hf18 0.507 0.737 0.631 1
Hf19 0.571 0.262 0.007 1
Hf20 0.576 0.495 0.803 1
Hf21 0.591 0.473 0.462 1
Hf22 0.624 0.015 0.429 1
Hf23 0.663 0.141 0.761 1
Hf24 0.678 0.762 0.188 1
Hf25 0.688 0.825 0.858 1
Hf26 0.802 0.457 0.185 1
Hf27 0.823 0.782 0.547 1
Hf28 0.829 0.222 0.542 1
Hf29 0.888 0.319 0.876 1
Hf30 0.892 0.498 0.473 1
Hf31 0.903 0.020 0.308 1
Hf32 0.933 0.610 0.811 1
Hf33 0.964 0.734 0.301 1
Hf34 0.988 0.017 0.727 1
O1 0.003 0.193 0.957 1
O2 0.005 0.796 0.472 1
O3 0.009 0.432 0.790 1
O4 0.035 0.161 0.320 1
O5 0.049 0.575 0.411 1
O6 0.055 0.907 0.285 1
O7 0.069 0.579 0.950 1
O8 0.076 0.640 0.195 1
O9 0.089 0.715 0.762 1
O10 0.113 0.852 0.050 1
O11 0.123 0.995 0.855 1
O12 0.140 0.092 0.108 1
O13 0.164 0.331 0.151 1
O14 0.173 0.911 0.643 1
O15 0.180 0.552 0.638 1
O16 0.220 0.301 0.625 1
O17 0.222 0.355 0.396 1
O18 0.230 0.331 0.895 1
O19 0.281 0.671 0.900 1
O20 0.283 0.124 0.445 1
O21 0.285 0.536 0.138 1
O22 0.296 0.574 0.381 1
O23 0.297 0.896 0.377 1
O24 0.312 0.782 0.184 1
O25 0.320 0.741 0.538 1
O26 0.358 0.068 0.183 1
O27 0.361 0.919 0.974 1
O28 0.366 0.450 0.742 1
O29 0.368 0.101 0.679 1
O30 0.395 0.849 0.726 1
O31 0.405 0.298 0.144 1
O32 0.407 0.181 0.934 1
O33 0.452 0.348 0.506 1
O34 0.491 0.423 0.311 1
O35 0.501 0.454 0.962 1
O36 0.505 0.909 0.520 1
O37 0.529 0.649 0.207 1
O38 0.535 0.545 0.628 1
O39 0.538 0.153 0.357 1
O40 0.545 0.668 0.450 1
O41 0.546 0.289 0.777 1
O42 0.568 0.681 0.817 1
O43 0.568 0.899 0.264 1
O44 0.600 0.110 0.092 1
O45 0.613 0.991 0.830 1
O46 0.627 0.836 0.034 1
O47 0.642 0.386 0.129 1
O48 0.671 0.114 0.584 1
O49 0.683 0.800 0.663 1
O50 0.724 0.230 0.916 1
O51 0.740 0.385 0.558 1
O52 0.744 0.457 0.353 1
O53 0.764 0.475 0.830 1
O54 0.785 0.922 0.437 1
O55 0.787 0.145 0.383 1
O56 0.809 0.632 0.160 1
O57 0.818 0.669 0.399 1
O58 0.834 0.726 0.896 1
O59 0.837 0.857 0.226 1
O60 0.854 0.186 0.730 1
O61 0.873 0.978 0.869 1
O62 0.888 0.365 0.052 1
O63 0.891 0.611 0.622 1
O64 0.897 0.078 0.138 1
O65 0.923 0.867 0.671 1
O66 0.969 0.401 0.263 1
O67 0.975 0.337 0.507 1
O68 0.997 0.105 0.563 1
```

---

# 2
ZrGaRh: relaxed, PBE.

Output
The formation energy from the elements is -238 kJ/mol of formula units.

The structure in CIF format:
```
data_ZrGaRh
_space_group_name_H-M_alt 'P -6 2 m'
_space_group_IT_number 189
_space_group_name_Hall 'P -6 -2'
____________
A relaxed CsMg6CO8 crystal. Source: Materials Project, functional GGA-PBE.

Unit cell a=4.575 b=4.575 c=8.839 alpha=90.00 beta=90.00 gamma=90.00
Sites, in units of the cell vectors:
Cs 0.000 0.000 0.000
Mg 0.500 0.500 0.000
Mg 0.500 0.500 0.500
Mg 0.000 0.500 0.272
Mg 0.000 0.500 0.728
Mg 0.500 0.000 0.272
Mg 0.500 0.000 0.728
C 0.000 0.000 0.500
O 0.000 0.000 0.293
O 0.000 0.000 0.707
O 0.500 0.500 0.253
O 0.500 0.500 0.747
O 0.000 0.500 0.000
O 0.000 0.500 0.500
O 0.500 0.000 0.000
O 0.500 0.000 0.500

E (eV/atom): -5.1078
Symmetry: P4/mmm (123)
Offset from the most stable computed form (eV/atom): 0.022
Energy of formation (eV per atom): -1.74

~~~~~

# 1
HfO2: relaxed, PBE.

Output
The formation energy from the elements is -1098 kJ/mol of formula units. The energy with MP2020 corrections comes out at -1061.9 eV/cell. The magnetic moment comes out at 0.00 μB per cell.

The structure in CIF format:
```
data_HfO2
_space_group_name_H-M_alt 'P 1'
_space_group_IT_number 1
_cell_length_a 10.850
_cell_length_b 10.914
_cell_length_c 11.237
_cell_angle_alpha 90.52
_cell_angle_beta 92.40
_cell_angle_gamma 90.59
loop_
_space_group_symop_operation_xyz
'x,y,z'
loop_
_atom_site_label
_atom_site_fract_x
_atom_site_fract_y
_atom_site_fract_z
_atom_site_occupancy
Hf1 0.000 0.000 0.000 1
Hf2 0.000 0.243 0.150 1
Hf3 0.123 0.214 0.480 1
Hf4 0.132 0.730 0.587 1
Hf5 0.154 0.487 0.273 1
Hf6 0.190 0.681 0.058 1
Hf7 0.191 0.505 0.820 1
Hf8 0.220 0.941 0.213 1
Hf9 0.260 0.855 0.838 1
Hf10 0.265 0.218 0.045 1
Hf11 0.303 0.451 0.551 1
Hf12 0.330 0.968 0.559 1
Hf13 0.356 0.258 0.768 1
Hf14 0.391 0.732 0.356 1
Hf15 0.399 0.253 0.339 1
Hf16 0.466 0.487 0.142 1
Hf17 0.492 0.970 0.099 1
Hf18 0.507 0.737 0.631 1
Hf19 0.571 0.262 0.007 1
Hf20 0.576 0.495 0.803 1
Hf21 0.591 0.473 0.462 1
Hf22 0.624 0.015 0.429 1
Hf23 0.663 0.141 0.761 1
Hf24 0.678 0.762 0.188 1
Hf25 0.688 0.825 0.858 1
Hf26 0.802 0.457 0.185 1
Hf27 0.823 0.782 0.547 1
Hf28 0.829 0.222 0.542 1
Hf29 0.888 0.319 0.876 1
Hf30 0.892 0.498 0.473 1
Hf31 0.903 0.020 0.308 1
Hf32 0.933 0.610 0.811 1
Hf33 0.964 0.734 0.301 1
Hf34 0.988 0.017 0.727 1
O1 0.003 0.193 0.957 1
O2 0.005 0.796 0.472 1
O3 0.009 0.432 0.790 1
O4 0.035 0.161 0.320 1
O5 0.049 0.575 0.411 1
O6 0.055 0.907 0.285 1
O7 0.069 0.579 0.950 1
O8 0.076 0.640 0.195 1
O9 0.089 0.715 0.762 1
O10 0.113 0.852 0.050 1
O11 0.123 0.995 0.855 1
O12 0.140 0.092 0.108 1
O13 0.164 0.331 0.151 1
O14 0.173 0.911 0.643 1
O15 0.180 0.552 0.638 1
O16 0.220 0.301 0.625 1
O17 0.222 0.355 0.396 1
O18 0.230 0.331 0.895 1
O19 0.281 0.671 0.900 1
O20 0.283 0.124 0.445 1
O21 0.285 0.536 0.138 1
O22 0.296 0.574 0.381 1
O23 0.297 0.896 0.377 1
O24 0.312 0.782 0.184 1
O25 0.320 0.741 0.538 1
O26 0.358 0.068 0.183 1
O27 0.361 0.919 0.974 1
O28 0.366 0.450 0.742 1
O29 0.368 0.101 0.679 1
O30 0.395 0.849 0.726 1
O31 0.405 0.298 0.144 1
O32 0.407 0.181 0.934 1
O33 0.452 0.348 0.506 1
O34 0.491 0.423 0.311 1
O35 0.501 0.454 0.962 1
O36 0.505 0.909 0.520 1
O37 0.529 0.649 0.207 1
O38 0.535 0.545 0.628 1
O39 0.538 0.153 0.357 1
O40 0.545 0.668 0.450 1
O41 0.546 0.289 0.777 1
O42 0.568 0.681 0.817 1
O43 0.568 0.899 0.264 1
O44 0.600 0.110 0.092 1
O45 0.613 0.991 0.830 1
O46 0.627 0.836 0.034 1
O47 0.642 0.386 0.129 1
O48 0.671 0.114 0.584 1
O49 0.683 0.800 0.663 1
O50 0.724 0.230 0.916 1
O51 0.740 0.385 0.558 1
O52 0.744 0.457 0.353 1
O53 0.764 0.475 0.830 1
O54 0.785 0.922 0.437 1
O55 0.787 0.145 0.383 1
O56 0.809 0.632 0.160 1
O57 0.818 0.669 0.399 1
O58 0.834 0.726 0.896 1
O59 0.837 0.857 0.226 1
O60 0.854 0.186 0.730 1
O61 0.873 0.978 0.869 1
O62 0.888 0.365 0.052 1
O63 0.891 0.611 0.622 1
O64 0.897 0.078 0.138 1
O65 0.923 0.867 0.671 1
O66 0.969 0.401 0.263 1
O67 0.975 0.337 0.507 1
O68 0.997 0.105 0.563 1
```

---

# 2
ZrGaRh: relaxed, PBE.

Output
The formation energy from the elements is -238 kJ/mol of formula units.

The structure in CIF format:
```
data_ZrGaRh
_space_group_name_H-M_alt 'P -6 2 m'
_space_group_IT_number 189
_space_group_name_Hall 'P -6 -2'